10+2 is a children's animated series from Catalonia, produced by Accio Studios and Victory Media Group, and directed by Miquel Pujol i Lozano. The show debuted in 1994, and as of September 2013 can be seen on Germany's KI.KA.
Gardening Australia provides practical, realistic and credible horticultural and gardening advice, inspiring and entertaining Australian gardeners around the nation.
Online dating, mobile apps, and matchmaking through friends may be viable options for some, but not all. When the modern ways of dating don’t work, four singles go to the two people who know them best—their parents—in hopes of finding their soulmates and walking down the aisle.
Jay, Kumi, Crick, Buzz, and Walter are best friends who band together to explore and learn in an overgrown suburban backyard, which to them is their entire universe. Each episode of this animated series features songs by The Beatles performed by artists including Daniel Johns, Robbie Williams and Pink to tell uplifting and life-affirming stories filled with hope and melody.
Three wildlife camera operators follow six iconic baby animals as they face the challenges of surviving their first year on Earth.
Calculated crystals that have nothing to do with the article >
~~~
Record 1
Pm5Pr4Sc2: calculated powder X-ray diffraction pattern (a wavelength of 1.5418 Å), based on a crystal structure in Alexandria, relaxed with GGA-PBE.
Neutral-atom scattering factors, no anomalous dispersion.

Principal peaks in the range 2θ from 10° to 90°, sorted by position:
2θ/deg	I (rel.)
27.5	75
30.8	100
31.1	77
31.6	73
33.5	98
33.9	95
51.3	47
51.5	24
61.0	53
61.2	28

Structure:
```
data_Pm5Pr4Sc2
_cell_length_a 12.142
_cell_length_b 12.142
_cell_length_c 8.732
_cell_angle_alpha 94.42
_cell_angle_beta 94.42
_cell_angle_gamma 16.81
_space_group_name_H-M_alt 'P 1'
_space_group_IT_number 1
_space_group_name_Hall 'P 1'
loop_
_atom_site_label
_atom_site_type_symbol
_atom_site_fract_x
_atom_site_fract_y
_atom_site_fract_z
Pm1 Pm 0.000 0.000 0.000
Pm2 Pm 0.319 0.319 0.523
Pm3 Pm 0.371 0.371 0.962
Pm4 Pm 0.629 0.629 0.038
Pm5 Pm 0.681 0.681 0.477
Pr1 Pr 0.226 0.226 0.823
Pr2 Pr 0.461 0.461 0.651
Pr3 Pr 0.539 0.539 0.349
Pr4 Pr 0.774 0.774 0.177
Sc1 Sc 0.087 0.087 0.698
Sc2 Sc 0.913 0.913 0.302
```

Record 2
Pm2PrSmSc: calculated powder X-ray diffraction pattern (a wavelength of 1.5418 Å), based on a crystal structure in Alexandria, relaxed with GGA-PBE.
Neutral-atom scattering factors, no anomalous dispersion.

Principal peaks in the range 2θ from 10° to 90°, sorted by position:
2θ/deg	I (rel.)
22.2	20
25.5	15
29.6	100
34.1	26
35.5	15
39.1	34
45.4	12
52.8	15
64.9	13
65.0	21

Structure:
```
data_Pm2PrSmSc
_cell_length_a 8.645
_cell_length_b 8.645
_cell_length_c 6.517
_cell_angle_alpha 90.00
_cell_angle_beta 90.00
_cell_angle_gamma 135.69
_space_group_name_H-M_alt 'P 1'
_space_group_IT_number 1
_space_group_name_Hall 'P 1'
loop_
_atom_site_label
_atom_site_type_symbol
_atom_site_fract_x
_atom_site_fract_y
_atom_site_fract_z
Pm1 Pm 0.248 0.248 0.000
Pm2 Pm 0.248 0.248 0.500
Pm3 Pm 0.752 0.752 0.000
Pm4 Pm 0.752 0.752 0.500
Pr1 Pr 0.336 0.664 0.750
Pr2 Pr 0.664 0.336 0.250
Sm1 Sm 0.248 0.752 0.250
Sm2 Sm 0.752 0.248 0.750
Sc1 Sc 0.152 0.848 0.750
Sc2 Sc 0.848 0.152 0.250
```

Record 3
Pm5Pr2SmSc: calculated powder X-ray diffraction pattern (a wavelength of 1.5418 Å), based on a crystal structure in Alexandria, relaxed with GGA-PBE.
Neutral-atom scattering factors, no anomalous dispersion.

Principal peaks in the range 2θ from 10° to 90°, sorted by position:
2θ/deg	I (rel.)
26.8	37
31.2	12
31.4	100
32.4	16
32.8	37
35.1	16
46.8	11
48.8	13
57.7	18
59.8	23

Structure:
```
data_Pm5Pr2SmSc
_cell_length_a 11.393
_cell_length_b 11.393
_cell_length_c 10.232
_cell_angle_alpha 90.00
_cell_angle_beta 90.00
_cell_angle_gamma 152.31
_space_group_name_H-M_alt 'P 1'
_space_group_IT_number 1
_space_group_name_Hall 'P 1'
loop_
_atom_site_label
_atom_site_type_symbol
_atom_site_fract_x
_atom_site_fract_y
_atom_site_fract_z
Pm1 Pm 0.000 0.000 0.000
Pm2 Pm 0.000 0.000 0.500
Pm3 Pm 0.127 0.873 0.750
Pm4 Pm 0.223 0.777 0.062
Pm5 Pm 0.223 0.777 0.438
Pm6 Pm 0.499 0.501 0.250
Pm7 Pm 0.501 0.499 0.750
Pm8 Pm 0.777 0.223 0.562
Pm9 Pm 0.777 0.223 0.938
~~~
So much for the calculated crystals >
Comedian Rosie Jones takes celebrity friends on thrilling outings around Britain, gorging on culture, learning local traditions and seeking excitement in the unlikeliest of places
BBC Scotland Investigates is a current affairs programme broadcast in Scotland by BBC Scotland. It is broadcast regularly on BBC One Scotland on weekday nights, currently with varying timeslots. Previously known as Frontline Scotland, the programme usually features current issues affecting the Scottish people. Most recent examples include gang warfare in Glasgow, problems with the NHS, the likely effects of increased gambling in Scottish cities and North Sea oil. BBC Scotland Investigates' reporters include Samantha Poling and Ross McWilliam. In most cases the entire programme is devoted to one topic, and consists entirely of an in-depth documentary piece from a single reporter. The programme is also available on the Internet from the BBC Scotland website, with episodes dating back to 2004 available to watch online.
After a series of family hardships and life struggles, He Yangguang and Luo Xingxing work together to realize their common dream of sharing their love of Lion Dance culture.
• Records of crystals, as found in the file:
- - -
Calculated powder diffraction line list
Compound: Mg12Tl2Pb7
Radiation: Cu Ka
Structure: a DFT-relaxed cell (PBE, Alexandria)
Neutral-atom scattering factors, no anomalous dispersion.

Main lines, in order of falling intensity (2θ from 5° to 70°):
Position (°2θ), I_rel
22.29, 100
30.21, 97
26.34, 77
39.12, 72
57.90, 47
24.92, 46

Structural model:
Lattice parameters (Å, degrees): 12.1856 12.1856 4.4106 90.00 90.00 120.00
Sites, in units of the cell vectors:
Mg 0.0422 0.2752 0.0000
Mg 0.1080 0.7119 0.5000
Mg 0.2330 0.9578 0.0000
Mg 0.2881 0.3961 0.5000
Mg 0.3916 0.1782 0.5000
Mg 0.5342 0.4259 0.0000
Mg 0.5741 0.1083 0.0000
Mg 0.6039 0.8920 0.5000
Mg 0.7248 0.7670 0.0000
Mg 0.7866 0.6084 0.5000
Mg 0.8218 0.2134 0.5000
Mg 0.8917 0.4658 0.0000
Tl 0.0000 0.0000 0.5000
Tl 0.3333 0.6667 0.0000
Pb 0.0783 0.4580 0.5000
Pb 0.2470 0.2117 0.0000
Pb 0.3797 0.9217 0.5000
Pb 0.5420 0.6203 0.5000
Pb 0.6667 0.3333 0.5000
Pb 0.7883 0.0353 0.0000
Pb 0.9647 0.7530 0.0000

---

Calculated powder diffraction line list
Compound: GaPd2AuF
Radiation: Cu Ka
Structure: a DFT-relaxed cell (PBE, Alexandria)
Neutral-atom scattering factors, no anomalous dispersion.

Main lines, in order of falling intensity (2θ from 5° to 70°):
Position (°2θ), I_rel
35.22, 100
37.70, 82
29.64, 76
48.67, 40
61.55, 38
66.45, 31

Structural model:
Lattice parameters (Å, degrees): 4.7727 4.7727 3.8862 90.00 90.00 90.00
Sites, in units of the cell vectors:
Ga 0.0000 0.0000 0.0000
Pd 0.0000 0.5000 0.0000
Pd 0.5000 0.0000 0.0000
Au 0.5000 0.5000 0.5000
F 0.0000 0.0000 0.5000

---

Calculated powder diffraction line list
Compound: BaLi2Cd4
Radiation: Cu Ka
Structure: a DFT-relaxed cell (PBE, Alexandria)
Neutral-atom scattering factors, no anomalous dispersion.

Main lines, in order of falling intensity (2θ from 5° to 70°):
Position (°2θ), I_rel
28.10, 100
31.94, 58
35.46, 43
8.59, 36
36.11, 30
40.65, 25

Structural model:
Lattice parameters (Å, degrees): 3.5914 4.9745 20.5769 90.00 90.00 90.00
Sites, in units of the cell vectors:
Ba 0.0000 0.0000 0.0000
Ba 0.5000 0.5000 0.5000
Li 0.0000 0.5000 0.1989
Li 0.0000 0.5000 0.8011
Li 0.5000 0.0000 0.3011
Li 0.5000 0.0000 0.6989
Cd 0.0000 0.0000 0.4142
Cd 0.0000 0.0000 0.5858
Cd 0.0000 0.5000 0.3362
Cd 0.0000 0.5000 0.6638
Cd 0.5000 0.0000 0.1638
Cd 0.5000 0.0000 0.8362
Cd 0.5000 0.5000 0.0858
Cd 0.5000 0.5000 0.9142

---

Calculated powder diffraction line list
Compound: SmHo5Sc
Radiation: Cu Ka
Structure: a DFT-relaxed cell (PBE, Alexandria)
Neutral-atom scattering factors, no anomalous dispersion.

Main lines, in order of falling intensity (2θ from 5° to 70°):
Position (°2θ), I_rel
32.20, 100
31.24, 98
32.32, 89
32.51, 72
31.99, 56
33.20, 55

Structural model:
Lattice parameters (Å, degrees): 9.1657 3.5479 13.6244 90.00 102.69 90.00
Sites, in units of the cell vectors:
Sm 0.1123 0.2500 0.1348
Sm 0.8877 0.7500 0.8652
Ho 0.0077 0.7500 0.3712
Ho 0.2023 0.2500 0.8837
Ho 0.3300 0.2500 0.5070
Ho 0.3489 0.7500 0.7214
Ho 0.4179 0.7500 0.0827
- - -
Award-winning war correspondent Guy Foster, distraught after the loss of his first wife, joins a cruise to Cape Town, where he meets beautiful and mysterious Melissa. A sophisticated blonde PR girl, Melissa is travelling with an exuberant group of media friends. Guy falls desperately in love with the exotic Melissa and she suggests they marry. But while they celebrate, dark events begin to take place. An elderly widower is ‘accidentally’ lost overboard. The bodies of a middle-aged couple are discovered in Cape Town. Then one of Melissa’s friends is brutally killed. The finger of suspicion falls on Guy – and when Melissa herself is killed, he is found bending over her bloodied corpse.
Series which tells the story of how people came to understand the natural order of the plant world, and how the quest to discover how plants grow uncovered the secret to life on the planet.
Bikie Wars: Brothers in Arms is a six-part Australian drama miniseries, screened on Network Ten on 15 May 2012. Bikie Wars is based on the book Brothers in Arms by Lindsay Simpson and Sandra Harvey. The screenplay was written by Greg Haddrick, Roger Simpson and Jo Martino. It is directed by Peter Andrikidis. Bikie Wars: Brothers in Arms cost A$6,000,000 to make.